Material:
┌──
1.
The following is a simulated powder diffraction line list of Nd2SiO5. It was derived from a DFT-relaxed cell (GGA-PBE, the Materials Project), using Cu Kα.
No peak broadening, texture or thermal motion is included.

Structure:
```
Nd2SiO5
1.0
9.331 0.000 0.000
0.000 7.391 0.000
-2.184 0.000 6.566
Nd Si O
8 4 20
Direct
0.021 0.124 0.234
0.021 0.376 0.734
0.389 0.154 0.092
0.389 0.346 0.592
0.611 0.654 0.408
0.611 0.846 0.908
0.979 0.624 0.266
0.979 0.876 0.766
0.299 0.581 0.043
0.299 0.919 0.543
0.701 0.081 0.457
0.701 0.419 0.957
0.116 0.123 0.952
0.116 0.377 0.452
0.118 0.635 0.993
0.118 0.865 0.493
0.294 0.072 0.365
0.294 0.428 0.865
0.367 0.039 0.753
0.367 0.461 0.253
0.409 0.747 0.557
0.409 0.753 0.057
0.591 0.247 0.943
0.591 0.253 0.443
0.633 0.539 0.747
0.633 0.961 0.247
0.706 0.572 0.135
0.706 0.928 0.635
0.882 0.135 0.507
0.882 0.365 0.007
0.884 0.623 0.548
0.884 0.877 0.048
```

Principal peaks in the range 15° ≤ 2θ ≤ 90°, by angle:
d = 5.674 Å, 2θ = 15.62°, intensity 46
d = 4.427 Å, 2θ = 20.06°, intensity 41
d = 3.221 Å, 2θ = 27.70°, intensity 100
d = 3.157 Å, 2θ = 28.27°, intensity 75
d = 2.952 Å, 2θ = 30.28°, intensity 51
d = 2.886 Å, 2θ = 30.98°, intensity 58
d = 2.820 Å, 2θ = 31.73°, intensity 70
d = 2.803 Å, 2θ = 31.92°, intensity 46
d = 2.025 Å, 2θ = 44.75°, intensity 49
d = 1.953 Å, 2θ = 46.50°, intensity 40

=====

2.
The following is a simulated powder diffraction line list of Ba2TbTaO6. It was derived from a DFT-relaxed cell (GGA-PBE, the Materials Project), using Cu Kα.
No peak broadening, texture or thermal motion is included.

Structure:
```
Ba2TbTaO6
1.0
0.000 4.280 4.280
4.280 0.000 4.280
4.280 4.280 0.000
Ba Tb Ta O
2 1 1 6
Direct
0.250 0.250 0.250
0.750 0.750 0.750
0.000 0.000 0.000
0.500 0.500 0.500
0.265 0.265 0.735
0.265 0.735 0.265
0.265 0.735 0.735
0.735 0.265 0.265
0.735 0.265 0.735
0.735 0.735 0.265
```

Principal peaks in the range 15° ≤ 2θ ≤ 90°, by angle:
d = 4.280 Å, 2θ = 20.75°, intensity 4
d = 3.026 Å, 2θ = 29.52°, intensity 100
d = 2.140 Å, 2θ = 42.23°, intensity 28
d = 1.914 Å, 2θ = 47.50°, intensity 2
d = 1.747 Å, 2θ = 52.36°, intensity 41
d = 1.513 Å, 2θ = 61.26°, intensity 18
d = 1.427 Å, 2θ = 65.42°, intensity 1
d = 1.353 Å, 2θ = 69.44°, intensity 18
d = 1.236 Å, 2θ = 77.21°, intensity 6
d = 1.144 Å, 2θ = 84.75°, intensity 22

=====

3.
The following is a simulated powder diffraction line list of MgGeRh2. It was derived from a DFT-relaxed cell (GGA-PBE, the Materials Project), using Cu Kα.
No peak broadening, texture or thermal motion is included.

Structure:
```
MgGeRh2
1.0
0.000 3.063 3.063
3.063 0.000 3.063
3.063 3.063 0.000
Mg Ge Rh
1 1 2
Direct
0.000 0.000 0.000
0.500 0.500 0.500
0.250 0.250 0.250
0.750 0.750 0.750
```

Principal peaks in the range 15° ≤ 2θ ≤ 90°, by angle:
d = 3.536 Å, 2θ = 25.18°, intensity 6
d = 3.063 Å, 2θ = 29.16°, intensity 17
d = 2.166 Å, 2θ = 41.71°, intensity 100
d = 1.847 Å, 2θ = 49.34°, intensity 3
d = 1.768 Å, 2θ = 51.70°, intensity 4
d = 1.531 Å, 2θ = 60.45°, intensity 16
d = 1.405 Å, 2θ = 66.54°, intensity 1
d = 1.370 Å, 2θ = 68.51°, intensity 6
d = 1.250 Å, 2θ = 76.13°, intensity 33
d = 1.179 Å, 2θ = 81.68°, intensity 1

=====

4.
The following is a simulated powder diffraction line list of Sr6Sn12Pt11. It was derived from a DFT-relaxed cell (GGA-PBE, the Materials Project), using Cu Kα.
No peak broadening, texture or thermal motion is included.

Structure:
```
Sr6Sn12Pt11
1.0
-3.337 10.498 10.033
3.337 -10.498 10.033
3.337 10.498 -10.033
Sr Sn Pt
12 24 22
Direct
0.042 0.428 0.140
0.122 0.233 0.355
0.212 0.072 0.614
0.288 0.902 0.860
0.378 0.733 0.111
0.458 0.598 0.386
0.542 0.402 0.614
0.622 0.267 0.889
0.712 0.098 0.140
0.788 0.928 0.386
0.878 0.767 0.645
0.958 0.572 0.860
0.001 0.750 0.251
0.055 0.713 0.769
0.118 0.959 0.729
0.167 0.406 0.739
0.167 0.906 0.238
0.231 0.390 0.271
0.269 0.541 0.159
0.333 0.071 0.238
0.333 0.571 0.739
0.382 0.110 0.841
0.445 0.213 0.658
0.499 0.750 0.749
0.501 0.250 0.251
0.555 0.787 0.342
0.618 0.890 0.159
└──

To do:
What is needed: quote everything further up without altering anything.

Here it is:
1.
The following is a simulated powder diffraction line list of Nd2SiO5. It was derived from a DFT-relaxed cell (GGA-PBE, the Materials Project), using Cu Kα.
No peak broadening, texture or thermal motion is included.

Structure:
```
Nd2SiO5
1.0
9.331 0.000 0.000
0.000 7.391 0.000
-2.184 0.000 6.566
Nd Si O
8 4 20
Direct
0.021 0.124 0.234
0.021 0.376 0.734
0.389 0.154 0.092
0.389 0.346 0.592
0.611 0.654 0.408
0.611 0.846 0.908
0.979 0.624 0.266
0.979 0.876 0.766
0.299 0.581 0.043
0.299 0.919 0.543
0.701 0.081 0.457
0.701 0.419 0.957
0.116 0.123 0.952
0.116 0.377 0.452
0.118 0.635 0.993
0.118 0.865 0.493
0.294 0.072 0.365
0.294 0.428 0.865
0.367 0.039 0.753
0.367 0.461 0.253
0.409 0.747 0.557
0.409 0.753 0.057
0.591 0.247 0.943
0.591 0.253 0.443
0.633 0.539 0.747
0.633 0.961 0.247
0.706 0.572 0.135
0.706 0.928 0.635
0.882 0.135 0.507
0.882 0.365 0.007
0.884 0.623 0.548
0.884 0.877 0.048
```

Principal peaks in the range 15° ≤ 2θ ≤ 90°, by angle:
d = 5.674 Å, 2θ = 15.62°, intensity 46
d = 4.427 Å, 2θ = 20.06°, intensity 41
d = 3.221 Å, 2θ = 27.70°, intensity 100
d = 3.157 Å, 2θ = 28.27°, intensity 75
d = 2.952 Å, 2θ = 30.28°, intensity 51
d = 2.886 Å, 2θ = 30.98°, intensity 58
d = 2.820 Å, 2θ = 31.73°, intensity 70
d = 2.803 Å, 2θ = 31.92°, intensity 46
d = 2.025 Å, 2θ = 44.75°, intensity 49
d = 1.953 Å, 2θ = 46.50°, intensity 40

=====

2.
The following is a simulated powder diffraction line list of Ba2TbTaO6. It was derived from a DFT-relaxed cell (GGA-PBE, the Materials Project), using Cu Kα.
No peak broadening, texture or thermal motion is included.

Structure:
```
Ba2TbTaO6
1.0
0.000 4.280 4.280
4.280 0.000 4.280
4.280 4.280 0.000
Ba Tb Ta O
2 1 1 6
Direct
0.250 0.250 0.250
0.750 0.750 0.750
0.000 0.000 0.000
0.500 0.500 0.500
0.265 0.265 0.735
0.265 0.735 0.265
0.265 0.735 0.735
0.735 0.265 0.265
0.735 0.265 0.735
0.735 0.735 0.265
```

Principal peaks in the range 15° ≤ 2θ ≤ 90°, by angle:
d = 4.280 Å, 2θ = 20.75°, intensity 4
d = 3.026 Å, 2θ = 29.52°, intensity 100
d = 2.140 Å, 2θ = 42.23°, intensity 28
d = 1.914 Å, 2θ = 47.50°, intensity 2
d = 1.747 Å, 2θ = 52.36°, intensity 41
d = 1.513 Å, 2θ = 61.26°, intensity 18
d = 1.427 Å, 2θ = 65.42°, intensity 1
d = 1.353 Å, 2θ = 69.44°, intensity 18
d = 1.236 Å, 2θ = 77.21°, intensity 6
d = 1.144 Å, 2θ = 84.75°, intensity 22

=====

3.
The following is a simulated powder diffraction line list of MgGeRh2. It was derived from a DFT-relaxed cell (GGA-PBE, the Materials Project), using Cu Kα.
No peak broadening, texture or thermal motion is included.

Structure:
```
MgGeRh2
1.0
0.000 3.063 3.063
3.063 0.000 3.063
3.063 3.063 0.000
Mg Ge Rh
1 1 2
Direct
0.000 0.000 0.000
0.500 0.500 0.500
0.250 0.250 0.250
0.750 0.750 0.750
```

Principal peaks in the range 15° ≤ 2θ ≤ 90°, by angle:
d = 3.536 Å, 2θ = 25.18°, intensity 6
d = 3.063 Å, 2θ = 29.16°, intensity 17
d = 2.166 Å, 2θ = 41.71°, intensity 100
d = 1.847 Å, 2θ = 49.34°, intensity 3
d = 1.768 Å, 2θ = 51.70°, intensity 4
d = 1.531 Å, 2θ = 60.45°, intensity 16
d = 1.405 Å, 2θ = 66.54°, intensity 1
d = 1.370 Å, 2θ = 68.51°, intensity 6
d = 1.250 Å, 2θ = 76.13°, intensity 33
d = 1.179 Å, 2θ = 81.68°, intensity 1

=====

4.
The following is a simulated powder diffraction line list of Sr6Sn12Pt11. It was derived from a DFT-relaxed cell (GGA-PBE, the Materials Project), using Cu Kα.
No peak broadening, texture or thermal motion is included.

Structure:
```
Sr6Sn12Pt11
1.0
-3.337 10.498 10.033
3.337 -10.498 10.033
3.337 10.498 -10.033
Sr Sn Pt
12 24 22
Direct
0.042 0.428 0.140
0.122 0.233 0.355
0.212 0.072 0.614
0.288 0.902 0.860
0.378 0.733 0.111
0.458 0.598 0.386
0.542 0.402 0.614
0.622 0.267 0.889
0.712 0.098 0.140
0.788 0.928 0.386
0.878 0.767 0.645
0.958 0.572 0.860
0.001 0.750 0.251
0.055 0.713 0.769
0.118 0.959 0.729
0.167 0.406 0.739
0.167 0.906 0.238
0.231 0.390 0.271
0.269 0.541 0.159
0.333 0.071 0.238
0.333 0.571 0.739
0.382 0.110 0.841
0.445 0.213 0.658
0.499 0.750 0.749
0.501 0.250 0.251
0.555 0.787 0.342
0.618 0.890 0.159